Against the UX Ivory Tower
Here the page breaks off for crystal structures:
- - -
VASP calculation (PBE-GGA) on an optimized crystal structure of LiNdDyHo.

Summary:
The space-group type is No. 216. The energy of formation comes out at 0.17 eV per atom.

Cell lengths 5.5256, 5.5256, 5.5256 Å; angles 60.00, 60.00, 60.00 degrees
Last column: nearest neighbours and their distance in Å.
Fractional coordinates of all 4 atoms:
Li1 0.0000 0.0000 0.0000  4 Dy 3.38, 4 Nd 3.38
Ho1 0.5000 0.5000 0.5000  4 Nd 3.38, 4 Dy 3.38
Dy1 0.7500 0.7500 0.7500  4 Ho 3.38, 4 Li 3.38
Nd1 0.2500 0.2500 0.2500  4 Li 3.38, 4 Ho 3.38

***

VASP calculation (PBE-GGA) on an optimized crystal structure of TmAlRh.

Summary:
The space-group type is No. 62. The energy of formation comes out at -0.96 eV per atom.

Cell lengths 4.1930, 6.7834, 7.8984 Å; angles 90.00, 90.00, 90.00 degrees
Last column: nearest neighbours and their distance in Å.
Fractional coordinates of all 12 atoms:
Al1 0.7500 0.1383 0.0602  4 Rh 2.58-2.65
Tm1 0.2500 0.9647 0.3210  5 Rh 2.84-2.95, 3 Al 3.09-3.17
Rh1 0.7500 0.7643 0.1219  4 Al 2.58-2.65, 1 Tm 2.84
Tm2 0.7500 0.0353 0.6790  5 Rh 2.84-2.95, 3 Al 3.09-3.17
Al2 0.2500 0.8617 0.9398  4 Rh 2.58-2.65
Al3 0.7500 0.6383 0.4398  4 Rh 2.58-2.65
Al4 0.2500 0.3617 0.5602  4 Rh 2.58-2.65
Tm3 0.2500 0.4647 0.1790  5 Rh 2.84-2.95, 3 Al 3.09-3.17
Rh2 0.2500 0.2357 0.8781  4 Al 2.58-2.65, 1 Tm 2.84
Rh3 0.2500 0.7357 0.6219  4 Al 2.58-2.65, 1 Tm 2.84
Rh4 0.7500 0.2643 0.3781  4 Al 2.58-2.65, 1 Tm 2.84
Tm4 0.7500 0.5353 0.8210  5 Rh 2.84-2.95, 3 Al 3.09-3.17

***

VASP calculation (PBE-GGA) on an optimized crystal structure of Sc2NiP.

Summary:
The space-group type is No. 38. The energy of formation comes out at -1.02 eV per atom.

Cell lengths 3.7835, 3.6434, 5.2188 Å; angles 69.56, 90.00, 90.00 degrees
Last column: nearest neighbours and their distance in Å.
Fractional coordinates of all 4 atoms:
Sc1 0.5000 0.2667 0.3416  4 Ni 2.71, 3 P 2.78-2.79
Sc2 0.0000 0.9828 0.9095  4 P 2.71, 3 Ni 2.77-2.79
P1 0.5000 0.5514 0.7723  2 Ni 2.38
Ni1 0.0000 0.6991 0.4766  2 P 2.38

***

VASP calculation (PBE-GGA) on an optimized crystal structure of CaDy3Cd2.

Summary:
The space-group type is No. 26. The calculation puts the energy above the most stable polymorph in this dataset at 0 meV/atom. The energy of formation comes out at -0.20 eV per atom.

Cell lengths 5.2570, 6.9247, 9.5355 Å; angles 90.00, 90.00, 90.00 degrees
Last column: nearest neighbours and their distance in Å.
Fractional coordinates of all 12 atoms:
Dy1 0.0000 0.8255 0.6812  4 Cd 3.13-3.19
Cd1 0.5000 0.2243 0.1470  6 Dy 3.08-3.27, 1 Ca 3.26
Cd2 0.5000 0.7243 0.8530  6 Dy 3.08-3.27, 1 Ca 3.26
Ca1 0.5000 0.0216 0.4556  3 Cd 3.26-3.30, 2 Ca 3.56, 3 Dy 3.61
Cd3 0.0000 0.7754 0.3484  5 Dy 3.13-3.21, 2 Ca 3.30
Dy2 0.5000 0.6734 0.1739  4 Cd 3.08-3.19
Dy3 0.5000 0.1734 0.8261  4 Cd 3.08-3.19
Dy4 0.0000 0.3255 0.3188  4 Cd 3.13-3.19
Dy5 0.0000 0.4797 0.9541  3 Cd 3.21-3.27, 5 Dy 3.54-3.59
Cd4 0.0000 0.2754 0.6516  5 Dy 3.13-3.21, 2 Ca 3.30
Ca2 0.5000 0.5216 0.5444  3 Cd 3.26-3.30, 2 Ca 3.56, 3 Dy 3.61
- - -
3 min read
I enjoy talking shop with fellow UX professionals. There’s always an interesting problem to solve and new ideas to be explored. User experience work is dang interesting. Plus, UX folks are smart. I nearly always learn something new from them.
When UX people talk, we speak in shorthand, jargon flying fast and furious. “Hey Dean, did you incorporate user-led personas into the user stories for sprint two?” “Well, my fellow information architect, it was the journeys and exploration studies that actually made the difference to the user flow.” “But Dean, what about the EPS Conduits and the Flux Capacitor?” None of this has to be explained. I’m sure you, my fellow UX enthusiast, follow it just fine.
But what about real people?
Few outside the rarified air of the UX ivory tower have much idea what we’re talking about. It’s lost on stakeholders, leaders, influencers, and clients. They don’t know Balsamiq from Axure. They are decidedly fuzzy on the difference between wireframes, prototypes, visual design files, storyboards, and sketches. Should we blame them?
Welcome to UX irony.
Here the article breaks off for records of crystals =
-- begin --
VASP calculation (PBEsol) on an optimized crystal structure of Ca2H2Pd.

Structure (POSCAR):
```
Ca2H2Pd
1.0
3.109 0.000 0.000
0.000 6.840 0.000
0.000 0.000 6.840
H Ca Pd
4 4 2
direct
0.000 0.378 0.878
0.000 0.878 0.622
0.000 0.622 0.122
0.000 0.122 0.378
0.500 0.175 0.675
0.500 0.675 0.825
0.500 0.825 0.325
0.500 0.325 0.175
0.000 0.000 0.000
0.000 0.500 0.500
```

## Properties
Density of states at the Fermi level = 0.56 states/eV/f.u.
Calculated volume = 145.4 Å³ per cell
E above lowest polymorph = 115 meV per atom

VASP calculation (PBEsol) on an optimized crystal structure of Na2SrTl.

Structure (POSCAR):
```
Na2SrTl
1.0
-5.411 0.920 0.884
-3.795 -3.432 -2.175
-2.893 -3.403 3.311
Sr Tl Na
1 1 2
direct
0.000 0.000 0.000
0.500 0.500 0.500
0.250 0.250 0.250
0.750 0.750 0.750
```

## Properties
Density of states at the Fermi level = 4.42 states/eV/f.u.
Calculated volume = 121.5 Å³ per cell
ΔE_f = -0.08 eV/atom

VASP calculation (PBEsol) on an optimized crystal structure of CsAgBr3.

Structure (POSCAR):
```
CsAgBr3
1.0
-2.702 -0.812 4.524
4.592 -0.708 2.616
0.202 5.222 1.059
Cs Ag Br
1 1 3
direct
0.500 0.500 0.500
0.000 0.000 0.000
0.000 0.500 0.000
0.000 0.000 0.500
0.500 0.000 0.000
```

## Properties
Density of states at the Fermi level = 1.51 states/eV/f.u.
Calculated volume = 151.6 Å³ per cell
ΔE_f (raw) = -920 meV/atom

VASP calculation (PBEsol) on an optimized crystal structure of K2TaSi.

Structure (POSCAR):
```
K2TaSi
1.0
3.885 0.000 0.000
0.000 3.885 0.000
0.000 0.000 5.927
K Si Ta
2 1 1
direct
0.000 0.500 0.000
0.500 0.000 0.000
0.500 0.500 0.500
0.000 0.000 0.500
```

## Properties
Density of states at the Fermi level = 2.20 states/eV/f.u.
Calculated volume = 89.4 Å³ per cell
ΔE_f (raw) = 903 meV/atom

VASP calculation (PBEsol) on an optimized crystal structure of ScSb2TeF.

Structure (POSCAR):
```
ScSb2TeF
1.0
-0.767 1.142 -4.411
-1.929 -4.134 -0.735
-4.832 2.013 1.361
Sc Sb Te F
1 2 1 1
direct
0.500 0.500 0.500
0.000 0.500 0.000
0.500 0.000 0.000
0.000 0.000 0.500
0.000 0.000 0.000
```

## Properties
Density of states at the Fermi level = 2.61 states/eV/f.u.
Calculated volume = 115.5 Å³ per cell
ΔE_f (raw) = -486 meV/atom

VASP calculation (PBEsol) on an optimized crystal structure of Sb2OsCl.

Structure (POSCAR):
```
Sb2OsCl
1.0
-0.917 3.502 3.084
-1.442 -1.034 4.412
2.910 0.743 3.688
Sb Os Cl
2 1 1
direct
0.250 0.250 0.250
0.750 0.750 0.750
0.500 0.500 0.500
0.000 0.000 0.000
```

## Properties
Density of states at the Fermi level = 4.68 states/eV/f.u.
Calculated volume = 76.1 Å³ per cell
E above lowest polymorph = 0 meV per atom
ΔE_f (raw) = 511 meV/atom

VASP calculation (PBEsol) on an optimized crystal structure of ReBS2N.

Structure (POSCAR):
```
ReBS2N
1.0
2.755 0.000 0.000
0.000 4.577 0.000
0.000 0.000 4.577
Re S B N
1 2 1 1
direct
0.500 0.500 0.500
0.000 0.000 0.500
0.000 0.500 0.000
0.000 0.000 0.000
0.500 0.000 0.000
```

## Properties
Density of states at the Fermi level = 4.65 states/eV/f.u.
-- stop --
On one hand, user experience is a ho-hum buzzword, something every commodity web design shop claims. On the other hand, UX is still relatively new and the discipline can seem quite mysterious, especially to those in the development world.
It doesn’t help matters that UX pros employ a dizzying variety of tools, methods, and deliverables. It also doesn’t help when we sometimes use words that can mean different things. What precisely is a template? How about widget? Snippet? Component? Archetype? And what on earth is a UX requirement?
We preach the use of simple, clear, human language for users. We demand others keep things simple, basic, and understandable. Then we turn around and lay the doublespeak on thick.
What can you do?
The answer is beautifully simple. Let’s practice what we preach.
Kill the jargon.
When interacting with stakeholders, traditional team members, managers, or clients, banish techno-slang and explain things in mercifully clear, brief, plainspoken language.
Don’t assume understanding.
Entry 1:
The following is a PBE calculation of a relaxed structure of La4Pm5Y, from Alexandria.

Structure (extended XYZ):
```
20
Lattice="-0.330 0.059 5.996 -10.760 0.017 -0.592 -0.022 -10.776 0.105" Properties=species:S:1:pos:R:3 pbc="T T T"
La -0.223 -7.511 3.845
La -7.745 0.049 3.357
La -3.430 0.042 3.595
La -0.214 -3.190 3.803
La -5.507 -2.130 1.950
La -8.736 -5.353 1.804
La -2.291 -5.362 2.159
La -5.520 -8.585 2.013
Pm -9.114 -9.034 0.514
Pm -1.785 -9.045 0.917
Pm -5.380 0.008 -0.296
Pm -9.098 -1.695 0.442
Pm -1.770 -1.707 0.845
Pm -7.382 -3.608 4.720
Pm -3.951 -3.614 4.908
Pm -0.341 -5.329 6.049
Pm -3.958 -7.050 4.942
Pm -7.390 -7.045 4.753
Y -0.215 0.039 3.912
Y -5.506 -5.359 1.841
```

polymorph energy (0 for the lowest one)	0.03	eV/f.u.
space-group type	P4/nmm
magnetic moment	0.000	Bohr magnetons per cell


Entry 2:
The following is a PBE calculation of a relaxed structure of PmCuH8Pt2, from Alexandria.

Structure (extended XYZ):
```
12
Lattice="-0.358 3.695 2.912 -2.956 -0.169 3.674 3.089 -0.999 5.470" Properties=species:S:1:pos:R:3 pbc="T T T"
Pm -0.113 1.264 6.028
Cu 0.000 0.000 0.000
H 0.878 0.147 3.743
H -0.376 2.164 3.795
H -1.104 2.380 8.312
H -1.669 3.118 6.085
H 1.443 -0.591 5.970
H -2.243 0.556 5.119
H 2.017 1.971 6.936
H 0.150 0.363 8.260
Pt -0.301 0.759 2.823
Pt 0.075 1.769 9.233
```

VASP energy	-4.08	eV/atom
space-group type	R-3
magnetic moment	0.000	Bohr magnetons per cell


Entry 3:
The following is a PBE calculation of a relaxed structure of TiNbTe, from Alexandria.

Structure (extended XYZ):
```
12
Lattice="-1.768 4.038 -0.113 -9.700 -3.978 9.583 2.323 1.095 2.806" Properties=species:S:1:pos:R:3 pbc="T T T"
Nb 0.278 2.567 1.347
Nb -4.850 -1.989 4.791
Nb 0.000 0.000 0.000
Nb -4.572 0.578 6.138
Te -0.293 -0.049 2.840
Te -7.084 -2.834 9.549
Te -7.188 -0.566 6.172
Te -4.280 0.626 3.298
Ti -2.228 -0.842 4.751
Ti -5.149 -2.041 7.638
Ti -9.123 -1.360 8.083
Ti -2.345 1.420 1.387
```

polymorph energy (0 for the lowest one)	0.17	eV/f.u.
energy relative to the elements, uncorrected	-0.3079	eV per atom
space-group type	Immm
magnetic moment	0.000	Bohr magnetons per cell


Entry 4:
The following is a PBE calculation of a relaxed structure of Y7ErTm4, from Alexandria.

Structure (extended XYZ):
```
12
Lattice="2.919 5.965 0.655 -2.919 5.965 0.655 0.000 4.685 11.753" Properties=species:S:1:pos:R:3 pbc="T T T"
Y 0.000 2.881 1.172
Y 0.000 13.734 11.892
Y 0.000 12.689 4.969
Y 0.000 3.926 8.094
Y 0.000 9.907 6.701
Y 0.000 5.965 0.655
Y 0.000 6.707 6.363
Er 0.000 0.000 0.000
Tm 0.000 7.922 9.576
Tm 0.000 8.692 3.488
Tm 0.000 4.395 4.063
Tm 0.000 12.219 9.000
```

polymorph energy (0 for the lowest one)	0.75	eV/f.u.
space-group type	C2/m
magnetic moment	0.457	Bohr magnetons per cell


Entry 5:
The following is a PBE calculation of a relaxed structure of Sc2TaHg, from Alexandria.

Structure (extended XYZ):
```
8
Lattice="-2.796 3.126 -0.139 -2.945 -2.567 1.531 -0.345 2.954 10.040" Properties=species:S:1:pos:R:3 pbc="T T T"
Do not assume any UX deliverable, tool, or process is inherently understood. Do not assume they are understood the second or third time you mention them.
Show. Don’t tell.
Show examples of deliverables. Showing fosters understanding. I have not yet met a client or stakeholder who really understood anything until they looked right at it. You are trying to convince highly literal people. They don’t know what you mean with your abstract explanations and generic sketches.
This is why you should always show real things. For example, when presenting wireframes, design, or finished code, make sure all content and copy are real. Anything less will come back to bite you later.
Be simple.
Every sub-discipline or sub-culture has its own lingo. But your command of esoteric terms will impress exactly no one. You know what people want from you? They want a great, easy-to-use digital product. Let’s stick to that and dispense with the fancy talk. It will make your life (and theirs) far easier.